Here we go again with another winter. Driving big trucks & being based out of Winnipeg means for the next 6 months we will face winter driving, often treacherous driving, conditions every run. This is never a fun time of year in the trucking business.

Passing and changing lanes is a maneuver that carries a lot of risk even when driving conditions are great. Mostly it’s perceived to be a simple maneuver. We do it almost out of reflex and we can get lazy about it. However, it’s something we do many times per day, big trucks have huge blind spots, and four wheelers often race us to prevent us from getting in front of them.

Additional Risk Passing in Winter Driving Conditions

Snow, icy roads, and limited visibility make lane changes more challenging in the winter months.

In a snow covered lane you can blind other drivers when you pass and/or be blinded as you pass. Multiple vehicles who can’t see past the nose of their vehicles is a nice recipe for a multiple vehicle highway crash.

When the conditions dictate slower highway speeds passing takes longer. This increases the time of your interaction with other motorists on the road. You’re at more risk the longer you’re in the passing lane beside another vehicle reducing escape routes if evasive action has to be taken in case of an emergency.

┌──
Diffraction record for NaSrN. The powder X-ray diffraction pattern is theoretical, not measured: it uses a crystal structure in the Materials Project, relaxed with PBE and λ = 1.5418 Å (Cu Kα).

Crystal structure
Lattice parameters (Å, degrees): 3.992 3.992 10.231 90.00 90.00 120.00
Sites, in units of the cell vectors:
Na 0.333 0.667 0.000
Na 0.667 0.333 0.500
Sr 0.000 0.000 0.291
Sr 0.000 0.000 0.791
N 0.333 0.667 0.388
N 0.667 0.333 0.888

Largest 6 diffraction maxima, by intensity, 10° ≤ 2θ ≤ 90°:
Position (°2θ), I (rel.)
31.23, 100
17.34, 44
25.77, 40
44.04, 30
45.44, 28
56.17, 18

Diffraction record for Na3TaN2. The powder X-ray diffraction pattern is theoretical, not measured: it uses a crystal structure in the Materials Project, relaxed with PBE and λ = 1.5418 Å (Cu Kα).

Crystal structure
Lattice parameters (Å, degrees): 10.008 10.008 10.008 109.47 109.47 109.47
Sites, in units of the cell vectors:
Na 0.033 0.569 0.794
Na 0.035 0.774 0.069
Na 0.069 0.035 0.774
Na 0.206 0.967 0.431
Na 0.226 0.931 0.965
Na 0.239 0.706 0.274
Na 0.261 0.535 0.467
Na 0.274 0.239 0.706
Na 0.294 0.726 0.761
Na 0.431 0.206 0.967
Na 0.465 0.533 0.739
Na 0.467 0.261 0.535
Na 0.533 0.739 0.465
Na 0.535 0.467 0.261
Na 0.569 0.794 0.033
Na 0.706 0.274 0.239
Na 0.726 0.761 0.294
Na 0.739 0.465 0.533
Na 0.761 0.294 0.726
Na 0.774 0.069 0.035
Na 0.794 0.033 0.569
Na 0.931 0.965 0.226
Na 0.965 0.226 0.931
Na 0.967 0.431 0.206
Ta 0.000 0.302 0.500
Ta 0.000 0.698 0.500
Ta 0.198 0.198 0.198
Ta 0.302 0.500 0.000
Ta 0.500 0.000 0.302
Ta 0.500 0.000 0.698
Ta 0.698 0.500 0.000
Ta 0.802 0.802 0.802
N 0.000 0.000 0.000
N 0.000 0.500 0.500
N 0.091 0.250 0.341
N 0.159 0.409 0.750
N 0.250 0.341 0.091
N 0.250 0.841 0.591
N 0.341 0.091 0.250
N 0.409 0.750 0.159
N 0.500 0.000 0.500
N 0.500 0.500 0.000
N 0.591 0.250 0.841
N 0.659 0.909 0.750
N 0.750 0.159 0.409
N 0.750 0.659 0.909
N 0.841 0.591 0.250
N 0.909 0.750 0.659

Largest 6 diffraction maxima, by intensity, 10° ≤ 2θ ≤ 90°:
Position (°2θ), I (rel.)
28.91, 100
18.81, 96
30.95, 49
48.56, 40
39.77, 32
15.33, 32

Diffraction record for Na2TiN2. The powder X-ray diffraction pattern is theoretical, not measured: it uses a crystal structure in the Materials Project, relaxed with PBE and λ = 1.5418 Å (Cu Kα).

Crystal structure
Lattice parameters (Å, degrees): 3.137 3.137 8.847 90.00 90.00 120.00
Sites, in units of the cell vectors:
Na 0.333 0.667 0.208
Na 0.667 0.333 0.792
Ti 0.000 0.000 0.500
N 0.333 0.667 0.621
N 0.667 0.333 0.379

Largest 6 diffraction maxima, by intensity, 10° ≤ 2θ ≤ 90°:
Position (°2θ), I (rel.)
38.90, 100
34.54, 55
45.39, 33
58.88, 28
62.66, 22
30.31, 21

Diffraction record for Na3VN2. The powder X-ray diffraction pattern is theoretical, not measured: it uses a crystal structure in the Materials Project, relaxed with PBE and λ = 1.5418 Å (Cu Kα).

Crystal structure
Lattice parameters (Å, degrees): 9.522 9.522 9.522 109.47 109.47 109.47
Sites, in units of the cell vectors:
Na 0.021 0.768 0.076
Na 0.054 0.576 0.808
└──

The left lane on an interstate highway is less used and can be far more icy that the right travel lane. Just because you have traction in your lane doesn’t mean you will have the same traction 8 feet to the left.

You’ll need to accelerate in the left lane. Accelerating and travelling at a higher rate of speed will require more traction to maintain control of the vehicle. Your lane might be good for the speed your travelling now, but maybe not at a higher rate of speed. It’s always better to travel slower in adverse conditions.

On two lane highways, you pass using the oncoming lane. The increased time it takes to pass heightens the risk of everyone around you. Coupled with reduced visibility and uncertain surface conditions you really need to be motivated to pass a slower vehicle to accept such risk.

The truck driver in front of you may have recently had a different experience on the road. That driver may have just had the drives slip and is aware the road conditions are worse than you think. He/she might be new to the industry and is a little freaked out about the current driving conditions. Passing and possibly blinding them with snow can easily cause an accident. Consideration for others on the road is part of being a professional and taking cues from other professionals can give you a better sense of the current driving conditions.

Passing Tips

  • Your CB radio can really help in bad weather. Keep your radio on and communicate with other trucks when you attempt to pass or are being passed.
  • Help out other motorists when you’re being passed. Reducing your speed slightly and flashing them in can help them pass safely.
  • The surface condition of the left lane can be very different than your current lane. Take visual cues and look for snow pack and drifting and watch the reflection of lights on the road surface. These are only a few clues about the surface conditions.
  • Assume there is black ice and reduced traction in the left lane then consider if it’s safe to be in at higher speeds. Never assume the lane is as good or better than the lane you’re currently traveling.
  • Easy into the lane. Don’t jerk the wheel to get into, and out of, the lane.
  • Let vehicles who are coming up on you, in the left lane, pass you before you initiate passing a slower vehicle. Don’t force them to hit their breaks or considerably reduce their speed.
  • Remember wind and blowing snow can ice up a lane. If it’s blowing assume the worst for the road surface.

Do You Really Need to Pass

How much time are you really going to save? If another vehicle is going dangerously slow then it maybe safer to overtake and pass. If you know you’re going to be stopping soon then following at a safe distance might be safer than accepting the risk of passing just to save, literally, a couple of minutes.

We face higher risk of an accident just by being on the road as much as we are and driving large heavy combination vehicles. Reducing risk and not accepting needless risk improves our odds of not being in an accident. No one ever expects to be in or cause an accident before they take an action. What if the action you’re about to take increases your risk and then causes an accident? Professional drivers need to be professional at risk assessment.

No load or delivery time is worth causing, or being involved in, an accident. At Len Dubois Trucking safety comes first. Drivers are expected to conduct their duties in a safe manner. We understand the challenges winter driving conditions present. If your going to be late due to driving conditions just contact dispatch and the clients affected. Safety is a team effort!